Wanted =
Quote the part of the calculation results further below that starts with the line with "Source: the" and stops after the one with "0.917".

File =
/*
Compound: ScV2Ga4
Source: the Materials Project database
Functional: PBE
Structure: optimized geometry

Structure (extended XYZ):
```
7
Lattice="0.0000 0.0000 -5.2041 -3.2537 -3.2537 -2.6020 -3.2537 3.2537 -2.6020" Properties=species:S:1:pos:R:3 pbc="T T T"
Sc 0.0000 0.0000 0.0000
V -3.2537 0.0000 -3.9031
V -3.2537 0.0000 -6.5051
Ga -1.3017 -1.3017 -2.6020
Ga -1.9520 -1.9520 -5.2041
Ga -1.3017 1.3017 -2.6020
Ga -1.9520 1.9520 -5.2041
```

Properties
V, Å³/atom: 15.74
Symmetry: I4/mmm, No. 139
Uncorrected energy, eV per atom: -5.64

=====

Entry 1:
Here is a geometry-optimized Sr3W2N4 structure from the Materials Project database. Energies are from PBE.

```
Sr3W2N4
1.0
5.922 -4.480 0.000
5.922 4.480 0.000
-0.130 0.000 5.757
Sr W N
6 4 8
direct
0.103 0.897 0.750
0.254 0.512 0.476
0.488 0.746 0.024
0.512 0.254 0.976
0.746 0.488 0.524
0.897 0.103 0.250
0.073 0.327 0.906
0.327 0.073 0.406
0.673 0.927 0.594
0.927 0.673 0.094
0.109 0.232 0.583
0.195 0.541 0.991
0.232 0.109 0.083
0.459 0.805 0.509
0.541 0.195 0.491
0.768 0.891 0.917
0.805 0.459 0.009
0.891 0.768 0.417
```

Summary:
As for the space-group type: C2/c, No. 15. The value obtained for the size of the total moment is 0.001 μB per formula unit. The calculation puts the energy relative to the lowest polymorph listed for this composition at 148 meV/atom. For the raw total energy, the calculation gives -67.95 eV per formula unit. The value obtained for the formation energy is -0.562 eV per atom.

=====

Entry 2:
Here is a geometry-optimized Sn4As3 structure from the Materials Project database. Energies are from PBE.

```
Sn4As3
1.0
2.079 1.200 12.207
-2.079 1.200 12.207
0.000 -2.401 12.207
Sn As
4 3
direct
0.135 0.135 0.135
0.289 0.289 0.289
0.711 0.711 0.711
0.865 0.865 0.865
0.000 0.000 0.000
0.430 0.430 0.430
0.570 0.570 0.570
```

Summary:
As for the space-group type: R-3m, No. 166. The calculation puts the energy relative to the lowest polymorph listed for this composition at 0 meV/atom. For the raw total energy, the calculation gives -30.65 eV per formula unit. The value obtained for the formation energy is -0.091 eV per atom.

=====

Entry 3:
Here is a geometry-optimized YCuSi structure from the Materials Project database. Energies are from PBE.

```
YCuSi
1.0
4.147 0.000 0.000
-2.074 3.592 0.000
0.000 0.000 7.516
Y Cu Si
2 2 2
direct
0.000 0.000 0.000
0.000 0.000 0.500
0.333 0.667 0.250
0.667 0.333 0.750
0.333 0.667 0.750
0.667 0.333 0.250
```

Summary:
As for the space-group type: P6_3/mmc, No. 194. For the raw total energy, the calculation gives -18.03 eV per formula unit. The value obtained for the formation energy is -0.657 eV per atom.

=====

Below is DyB2Os after structural relaxation, with properties calculated at the PBE level.

Summary:
Volume in A^3/atom: 12.5
E_form in meV/atom: -574
Size of the total moment in μB per formula unit: 0.0

a = 5.909 Å, b = 5.310 Å, c = 6.381 Å
α = 90.00°, β = 90.00°, γ = 90.00°
Fractional positions:
Dy 0.010 0.250 0.336
Dy 0.510 0.250 0.164
Dy 0.990 0.750 0.664
Dy 0.490 0.750 0.836
B 0.364 0.082 0.540
B 0.864 0.418 0.960
B 0.636 0.582 0.460
B 0.136 0.918 0.040
B 0.636 0.918 0.460
B 0.136 0.582 0.040
B 0.364 0.418 0.540
B 0.864 0.082 0.960
Os 0.177 0.250 0.818
Os 0.677 0.250 0.682
Os 0.823 0.750 0.182
Os 0.323 0.750 0.318
*/

Reply =
Source: the Materials Project database
Functional: PBE
Structure: optimized geometry

Structure (extended XYZ):
```
7
Lattice="0.0000 0.0000 -5.2041 -3.2537 -3.2537 -2.6020 -3.2537 3.2537 -2.6020" Properties=species:S:1:pos:R:3 pbc="T T T"
Sc 0.0000 0.0000 0.0000
V -3.2537 0.0000 -3.9031
V -3.2537 0.0000 -6.5051
Ga -1.3017 -1.3017 -2.6020
Ga -1.9520 -1.9520 -5.2041
Ga -1.3017 1.3017 -2.6020
Ga -1.9520 1.9520 -5.2041
```

Properties
V, Å³/atom: 15.74
Symmetry: I4/mmm, No. 139
Uncorrected energy, eV per atom: -5.64

=====

Entry 1:
Here is a geometry-optimized Sr3W2N4 structure from the Materials Project database. Energies are from PBE.

```
Sr3W2N4
1.0
5.922 -4.480 0.000
5.922 4.480 0.000
-0.130 0.000 5.757
Sr W N
6 4 8
direct
0.103 0.897 0.750
0.254 0.512 0.476
0.488 0.746 0.024
0.512 0.254 0.976
0.746 0.488 0.524
0.897 0.103 0.250
0.073 0.327 0.906
0.327 0.073 0.406
0.673 0.927 0.594
0.927 0.673 0.094
0.109 0.232 0.583
0.195 0.541 0.991
0.232 0.109 0.083
0.459 0.805 0.509
0.541 0.195 0.491
0.768 0.891 0.917